[Job]
What is needed: count the lines below that contain the word "SCC" and give the number alone.

[Listing]
[1]
ORCA calculation (ωB97M-V/def2-TZVPD) on C19H23N3O3S in the gas phase.

Summary:
Energy relative to the best compared isomer or geometry (same formula, charge and spin)   41.7 kcal per mole
2S+1   1
SMILES   COc1ccc(-n2ccnc(SCC(=O)NC3CCCCC3)c2=O)cc1
F_max   0.9 eV Å⁻¹
Total energy   -1526.0118 a.u.
HOMO-LUMO gap   8.2 eV

```
49
C19H23N3O3S ωB97M-V/def2-TZVPD
C -7.40952 -0.83772 -0.92405
O -6.37024 -1.59282 -0.34758
C -5.19673 -0.97359 -0.06057
C -4.19410 -1.78823 0.47307
C -2.96508 -1.26280 0.79967
C -2.71594 0.09276 0.60590
N -1.44292 0.62078 0.94588
C -0.91541 0.35768 2.16696
C 0.32586 0.80395 2.49598
N 1.10866 1.42962 1.59464
C 0.62383 1.66500 0.42176
S 1.69426 2.37323 -0.79024
C 1.44745 1.08925 -2.07990
C 1.66227 -0.23292 -1.36446
O 0.73988 -0.94518 -1.01903
N 2.95515 -0.49552 -1.10432
C 3.37797 -1.56321 -0.22121
C 3.67839 -1.02224 1.18255
C 4.93389 -0.15475 1.19873
C 6.12886 -0.92881 0.65112
C 5.84839 -1.41565 -0.76725
C 4.59508 -2.28788 -0.79975
C -0.74072 1.36244 -0.00633
O -1.24028 1.70832 -1.05763
C -3.70277 0.90747 0.07472
C -4.93766 0.37899 -0.25807
H -8.22797 -1.53793 -1.08289
H -7.10842 -0.40893 -1.88477
H -7.74347 -0.03759 -0.25573
H -4.40397 -2.83686 0.60985
H -2.18382 -1.90264 1.18107
H -1.53811 -0.19935 2.85038
H 0.75871 0.64328 3.46993
H 2.18888 1.28576 -2.85084
H 0.43659 1.16933 -2.47445
H 3.63961 0.21441 -1.31296
H 2.52676 -2.25126 -0.16922
H 3.81262 -1.87000 1.85734
H 2.82395 -0.43939 1.53153
H 4.77005 0.74651 0.60439
H 5.13582 0.16600 2.22213
H 6.32618 -1.78972 1.29420
H 7.01842 -0.29582 0.65753
H 6.69842 -1.99269 -1.13731
H 5.72558 -0.55657 -1.43082
H 4.77000 -3.18788 -0.20742
H 4.37838 -2.59648 -1.82432
H -3.50971 1.95582 -0.08431
H -5.68673 1.03507 -0.67104
```

[2]
ORCA calculation (ωB97M-V/def2-TZVPD) on C6H9N in the gas phase.

Summary:
Energy relative to the best compared isomer or geometry (same formula, charge and spin)   82.3 kcal per mole
2S+1   1
F_max   0.4 eV Å⁻¹
Total energy   -288.6508 a.u.
HOMO-LUMO gap   7.6 eV

```
16
C6H9N ωB97M-V/def2-TZVPD
C -1.31266 2.12967 0.07663
C -0.43635 0.92797 0.26528
C -0.51678 -0.11807 1.12571
C 0.01253 -2.18429 -0.05432
C 0.65257 -0.99553 0.70919
C 1.43661 -0.22584 -0.30473
N 0.74327 0.83561 -0.56466
H -2.36322 1.84688 0.18431
H -1.20846 2.59884 -0.91142
H -1.10295 2.89937 0.83160
H 0.77152 -2.83561 -0.50230
H -0.67692 -1.80805 -0.82121
H -0.59838 -2.75401 0.64867
H 1.28449 -1.38458 1.52002
H 2.35674 -0.43722 -0.83505
H 0.96753 1.48703 -1.30976
```

[3]
ORCA calculation (ωB97M-V/def2-TZVPD) on a gas-phase ion, C7H12N3O2S (charge +1) in a non-equilibrium geometry.

Summary:
Energy relative to the best compared isomer or geometry (same formula, charge and spin)   112.0 kcal per mole
Total charge   +1
2S+1   1
F_max   3.0 eV Å⁻¹
Total energy   -986.4189 a.u.
HOMO-LUMO gap (spin up / spin down)   7.6 / 6.8 eV

```
25
C7H12N3O2S ωB97M-V/def2-TZVPD
C -1.61470 -0.88984 -0.73955
C -0.32580 -1.38383 -0.56069
C -0.05149 1.53531 -0.13981
C 0.18113 -3.40526 0.86896
C 2.31936 0.94626 0.24928
C -1.29917 4.07752 0.27916
C -0.11465 -2.88079 -0.66354
N 0.74808 -0.64683 -0.32901
N 0.98156 0.66498 -0.11355
N -1.25622 0.86530 -0.44633
O -2.75202 -1.16877 -0.88270
O -2.36727 1.41947 -0.39708
S 0.29299 3.19577 0.37448
H -0.64549 -2.93823 1.36894
H 1.14749 -3.05505 1.23106
H 0.10474 -4.51058 0.94144
H 2.48375 1.15957 1.25363
H 2.93724 0.06934 -0.01323
H 2.58434 1.84143 -0.35919
H -1.23280 4.81584 -0.60158
H -1.52033 4.66539 1.20383
H -2.05299 3.26013 0.25392
H -0.96594 -3.26483 -1.17318
H 0.76678 -3.18213 -1.19392
H 1.65140 -1.19018 -0.41133
```

[4]
ORCA calculation (ωB97M-V/def2-TZVPD) on a molecular structure, C5H12Cl7HgO2 in a non-equilibrium geometry.

Summary:
Energy relative to the best compared isomer or geometry (same formula, charge and spin)   38.1 kcal per mole
Total charge   -1
2S+1   1
F_max   4.2 eV Å⁻¹
Total energy   -3722.8792 a.u.
HOMO-LUMO gap   6.4 eV

```
27
C5H12Cl7HgO2 ωB97M-V/def2-TZVPD
Hg 0.92110 0.85108 -0.45983
C -0.90220 3.19391 -1.62640

[Completed]
1